Request:
Your job: restate everything below verbatim.

Contents:
____________
<P>
The following is a quantum chemistry calculation of 2 unconnected molecules or ions with the total composition ClH4N2OP, from OMol25.

ORCA input file:
```
! RIJCOSX wB97M-V def2-TZVPD def2/J DEFGRID3
* xyz 0 1
N -1.605 -0.690 0.176
N 0.441 0.852 -0.587
O -2.005 1.866 0.283
P -1.027 0.844 -0.032
Cl 4.062 0.377 0.121
H -2.432 -1.009 0.550
H -0.884 -1.261 -0.230
H 4.162 -0.516 -0.895
H 0.990 1.652 -0.626
*
```

Summary:
- Frontier orbital gap: 10.6 eV
- Highest occupied orbital energy: -10.27 eV
- LUMO energy: 0.0138 Ha

<Q>
The following is a quantum chemistry calculation of a single ClH4N2OP molecule, from OMol25.

ORCA input file:
```
! RIJCOSX wB97M-V def2-TZVPD def2/J DEFGRID3
* xyz 0 1
N 1.141 -0.472 0.470
N -1.278 0.275 -0.223
O 0.433 2.048 1.215
P -0.236 0.364 1.178
Cl 1.274 2.706 -0.101
H 0.859 -0.725 -0.417
H 1.494 -1.204 1.073
H -0.732 0.409 -1.096
H -1.892 1.119 -0.153
*
```

Summary:
- Frontier orbital gap: 10.2 eV
- Highest occupied orbital energy: -9.96 eV
- SMILES: NP(N)OCl
- LUMO energy: 0.0088 Ha

Ranked by calculated energy, most stable first: <P>, <Q>.

<P>
The following is a quantum chemistry calculation of a single C16H20N4O3S molecule, from OMol25.

ORCA input file:
```
! RIJCOSX wB97M-V def2-TZVPD def2/J DEFGRID3
* xyz 0 1
C 6.190 2.280 1.294
C 5.235 1.201 1.784
H 4.829 1.475 2.763
H 5.733 0.231 1.845
O 4.155 1.000 0.874
C 3.131 1.879 0.978
O 3.079 2.774 1.787
N 2.167 1.628 0.063
C 2.228 0.543 -0.895
H 2.805 -0.275 -0.460
C 0.794 0.090 -1.220
N -0.081 0.156 -0.069
C 0.273 -0.783 0.977
C -0.761 -0.799 2.086
O -0.465 -0.668 3.251
N -2.080 -0.974 1.753
C -2.748 -1.297 0.603
N -3.964 -1.705 0.676
C -4.481 -2.001 -0.552
C -5.768 -2.467 -0.806
C -6.131 -2.732 -2.109
C -5.237 -2.538 -3.160
C -3.957 -2.073 -2.928
C -3.584 -1.809 -1.623
S -2.063 -1.193 -1.019
H -3.261 -1.921 -3.739
H -5.548 -2.755 -4.171
H -7.126 -3.095 -2.322
H -6.450 -2.611 0.016
H -2.691 -1.009 2.565
H 1.238 -0.570 1.458
H 0.316 -1.783 0.531
C -0.252 1.532 0.389
C 0.959 2.419 0.043
H 1.074 3.218 0.775
H 0.842 2.863 -0.952
H -1.150 1.943 -0.088
H -0.411 1.528 1.468
H 0.355 0.729 -1.990
H 0.805 -0.933 -1.601
H 2.738 0.870 -1.811
H 7.030 2.361 1.978
H 5.674 3.236 1.255
H 6.560 2.034 0.301
*
```

Summary:
- Frontier orbital gap: 8.9 eV
- Highest occupied orbital energy: -8.45 eV
- SMILES: CCOC(=O)N1CCN(CC(=O)Nc2nc3ccccc3s2)CC1
- LUMO energy: 0.0171 Ha

<Q>
The following is a quantum chemistry calculation of a molecular structure, C16H20N4O3S, from OMol25.

ORCA input file:
```
! RIJCOSX wB97M-V def2-TZVPD def2/J DEFGRID3
* xyz 0 1
C -4.944 -1.510 0.221
C -4.418 -0.133 0.582
H -4.441 0.057 1.650
H -5.170 0.617 0.139
O -3.211 -0.074 -0.016
C -2.814 1.260 0.414
O -3.471 2.094 1.086
N -1.530 1.516 -0.253
C -0.817 0.414 -0.793
H -1.352 -0.177 -1.435
C 0.435 1.119 -1.352
N 1.252 1.644 -0.490
C 2.538 2.011 -1.076
C 3.610 2.411 0.141
O 4.225 3.300 0.191
N 3.664 1.160 0.989
C 3.101 -0.157 0.725
N 3.073 -0.769 -0.300
C 2.465 -1.742 -0.325
C 2.155 -2.768 -1.128
C 1.348 -3.917 -1.061
C 0.661 -3.968 0.425
C 0.938 -3.004 1.321
C 1.670 -1.964 1.168
S 2.116 -0.499 1.785
H 0.555 -3.209 2.218
H 0.177 -5.115 0.457
H 1.287 -4.506 -1.759
H 2.588 -2.726 -2.090
H 4.320 1.253 1.779
H 2.323 3.303 -1.427
H 2.879 1.530 -1.884
C 0.670 2.386 0.622
C -0.790 2.583 0.114
H -0.755 3.264 -0.763
H -1.264 3.469 0.944
H 0.590 1.767 1.355
H 1.200 3.276 1.089
H 1.029 0.130 -1.798
H 0.095 1.740 -2.085
H -0.407 -0.407 0.245
H -5.103 -1.506 -0.709
____________

Completed:
<P>
The following is a quantum chemistry calculation of 2 unconnected molecules or ions with the total composition ClH4N2OP, from OMol25.

ORCA input file:
```
! RIJCOSX wB97M-V def2-TZVPD def2/J DEFGRID3
* xyz 0 1
N -1.605 -0.690 0.176
N 0.441 0.852 -0.587
O -2.005 1.866 0.283
P -1.027 0.844 -0.032
Cl 4.062 0.377 0.121
H -2.432 -1.009 0.550
H -0.884 -1.261 -0.230
H 4.162 -0.516 -0.895
H 0.990 1.652 -0.626
*
```

Summary:
- Frontier orbital gap: 10.6 eV
- Highest occupied orbital energy: -10.27 eV
- LUMO energy: 0.0138 Ha

<Q>
The following is a quantum chemistry calculation of a single ClH4N2OP molecule, from OMol25.

ORCA input file:
```
! RIJCOSX wB97M-V def2-TZVPD def2/J DEFGRID3
* xyz 0 1
N 1.141 -0.472 0.470
N -1.278 0.275 -0.223
O 0.433 2.048 1.215
P -0.236 0.364 1.178
Cl 1.274 2.706 -0.101
H 0.859 -0.725 -0.417
H 1.494 -1.204 1.073
H -0.732 0.409 -1.096
H -1.892 1.119 -0.153
*
```

Summary:
- Frontier orbital gap: 10.2 eV
- Highest occupied orbital energy: -9.96 eV
- SMILES: NP(N)OCl
- LUMO energy: 0.0088 Ha

Ranked by calculated energy, most stable first: <P>, <Q>.

<P>
The following is a quantum chemistry calculation of a single C16H20N4O3S molecule, from OMol25.

ORCA input file:
```
! RIJCOSX wB97M-V def2-TZVPD def2/J DEFGRID3
* xyz 0 1
C 6.190 2.280 1.294
C 5.235 1.201 1.784
H 4.829 1.475 2.763
H 5.733 0.231 1.845
O 4.155 1.000 0.874
C 3.131 1.879 0.978
O 3.079 2.774 1.787
N 2.167 1.628 0.063
C 2.228 0.543 -0.895
H 2.805 -0.275 -0.460
C 0.794 0.090 -1.220
N -0.081 0.156 -0.069
C 0.273 -0.783 0.977
C -0.761 -0.799 2.086
O -0.465 -0.668 3.251
N -2.080 -0.974 1.753
C -2.748 -1.297 0.603
N -3.964 -1.705 0.676
C -4.481 -2.001 -0.552
C -5.768 -2.467 -0.806
C -6.131 -2.732 -2.109
C -5.237 -2.538 -3.160
C -3.957 -2.073 -2.928
C -3.584 -1.809 -1.623
S -2.063 -1.193 -1.019
H -3.261 -1.921 -3.739
H -5.548 -2.755 -4.171
H -7.126 -3.095 -2.322
H -6.450 -2.611 0.016
H -2.691 -1.009 2.565
H 1.238 -0.570 1.458
H 0.316 -1.783 0.531
C -0.252 1.532 0.389
C 0.959 2.419 0.043
H 1.074 3.218 0.775
H 0.842 2.863 -0.952
H -1.150 1.943 -0.088
H -0.411 1.528 1.468
H 0.355 0.729 -1.990
H 0.805 -0.933 -1.601
H 2.738 0.870 -1.811
H 7.030 2.361 1.978
H 5.674 3.236 1.255
H 6.560 2.034 0.301
*
```

Summary:
- Frontier orbital gap: 8.9 eV
- Highest occupied orbital energy: -8.45 eV
- SMILES: CCOC(=O)N1CCN(CC(=O)Nc2nc3ccccc3s2)CC1
- LUMO energy: 0.0171 Ha

<Q>
The following is a quantum chemistry calculation of a molecular structure, C16H20N4O3S, from OMol25.

ORCA input file:
```
! RIJCOSX wB97M-V def2-TZVPD def2/J DEFGRID3
* xyz 0 1
C -4.944 -1.510 0.221
C -4.418 -0.133 0.582
H -4.441 0.057 1.650
H -5.170 0.617 0.139
O -3.211 -0.074 -0.016
C -2.814 1.260 0.414
O -3.471 2.094 1.086
N -1.530 1.516 -0.253
C -0.817 0.414 -0.793
H -1.352 -0.177 -1.435
C 0.435 1.119 -1.352
N 1.252 1.644 -0.490
C 2.538 2.011 -1.076
C 3.610 2.411 0.141
O 4.225 3.300 0.191
N 3.664 1.160 0.989
C 3.101 -0.157 0.725
N 3.073 -0.769 -0.300
C 2.465 -1.742 -0.325
C 2.155 -2.768 -1.128
C 1.348 -3.917 -1.061
C 0.661 -3.968 0.425
C 0.938 -3.004 1.321
C 1.670 -1.964 1.168
S 2.116 -0.499 1.785
H 0.555 -3.209 2.218
H 0.177 -5.115 0.457
H 1.287 -4.506 -1.759
H 2.588 -2.726 -2.090
H 4.320 1.253 1.779
H 2.323 3.303 -1.427
H 2.879 1.530 -1.884
C 0.670 2.386 0.622
C -0.790 2.583 0.114
H -0.755 3.264 -0.763
H -1.264 3.469 0.944
H 0.590 1.767 1.355
H 1.200 3.276 1.089
H 1.029 0.130 -1.798
H 0.095 1.740 -2.085
H -0.407 -0.407 0.245
H -5.103 -1.506 -0.709